If you have donated before please do that again this month. Giving Tuesday launches a global initiative to help non profits raise money before the end of the year.
Our new goal is reading, math, science, technology music and encyclopedic knowledge by two for every child. This will significantly alter the course on Turning the Tide on Academic Achievement.
26 years ago our son Bryan was born, and from the very first moment I could not keep my hands off him. I have been present to the tension of birth for a long time and was certain about my Rolfing abilities. So on day one he had his first Rolfing session. By the time he was four months all 10 sessions. A year later his advanced session and in-between he had a massage form either his mother or me every day.
I was also thanks to the work at the Institutes for the Achievement of Human Potential aware of the fact that the brain grows by use and stimulation. So from the very beginning we stimulated his senses, sight by turning the lights off and on a number of times in a dark room, sound by playing various music, taste by letting him put his little mouth to different objects, smell by exposing him to various spices and smells, and touch by varying his exposure to different, textures placing him on a vestibular stimulation by holding him by his little fingers and doing hangings placing him on an exercise ball and turning him this way and that.
By the time Bryan was one he could read over 1,000 words, count to 100 in English and Spanish, knew his abc's and could identify hundreds of bits of intelligence
He graduated high school at 17, was one of the first 400 kids accepted to Georgetown, worked for EdWeek.org for about 4 years and is now a senior copy editor for a large sports news program.
No. 1
KTh2F9: theoretical PXRD pattern (Cu Kα (weighted mean of Kα1 and Kα2)), based on a GGA-PBE-relaxed structure.
Neutral-atom scattering factors, no anomalous dispersion.

Top 12 peaks for 2θ = 10–80°, sorted by position:
15.0°, d 5.901, intensity 100
19.9°, d 4.452, intensity 24
23.5°, d 3.791, intensity 47
25.1°, d 3.554, intensity 25
25.8°, d 3.456, intensity 45
26.6°, d 3.350, intensity 53
27.7°, d 3.222, intensity 26
28.0°, d 3.190, intensity 39
30.7°, d 2.914, intensity 41
42.5°, d 2.128, intensity 25
45.3°, d 2.003, intensity 57
45.8°, d 1.982, intensity 31

Structural model:
```
KTh2F9
1.0
8.9040 0.0000 0.0000
0.0000 11.8028 0.0000
0.0000 0.0000 7.2324
K Th F
4 8 36
Direct
0.0352 0.2500 0.1470
0.4648 0.7500 0.6470
0.5352 0.2500 0.3530
0.9648 0.7500 0.8530
0.1748 0.0506 0.6541
0.1748 0.4494 0.6541
0.3252 0.5506 0.1541
0.3252 0.9494 0.1541
0.6748 0.0506 0.8459
0.6748 0.4494 0.8459
0.8252 0.5506 0.3459
0.8252 0.9494 0.3459
0.0041 0.5982 0.5765
0.0041 0.9018 0.5765
0.0655 0.5805 0.1988
0.0655 0.9195 0.1988
0.1748 0.2500 0.6631
0.2080 0.0960 0.9736
0.2080 0.4040 0.9736
0.2150 0.6059 0.8571
0.2150 0.8941 0.8571
0.2850 0.1059 0.3571
0.2850 0.3941 0.3571
0.2920 0.5960 0.4736
0.2920 0.9040 0.4736
0.3252 0.7500 0.1631
0.4345 0.0805 0.6988
0.4345 0.4195 0.6988
0.4959 0.0982 0.0765
0.4959 0.4018 0.0765
0.5041 0.5982 0.9235
0.5041 0.9018 0.9235
0.5655 0.5805 0.3012
0.5655 0.9195 0.3012
0.6748 0.2500 0.8369
0.7080 0.0960 0.5264
0.7080 0.4040 0.5264
0.7150 0.6059 0.6429
0.7150 0.8941 0.6429
0.7850 0.1059 0.1429
0.7850 0.3941 0.1429
0.7920 0.5960 0.0264
0.7920 0.9040 0.0264
0.8252 0.7500 0.3369
0.9345 0.0805 0.8012
0.9345 0.4195 0.8012
0.9959 0.0982 0.4235
0.9959 0.4018 0.4235
```

***

No. 2
Tl2InBiI6: theoretical PXRD pattern (Cu Kα (weighted mean of Kα1 and Kα2)), based on a GGA-PBE-relaxed structure.
Neutral-atom scattering factors, no anomalous dispersion.

Top 12 peaks for 2θ = 10–80°, sorted by position:
14.2°, d 6.217, intensity 40
19.7°, d 4.499, intensity 41
20.7°, d 4.300, intensity 24
23.8°, d 3.734, intensity 79
28.7°, d 3.109, intensity 51
31.6°, d 2.832, intensity 100
35.6°, d 2.519, intensity 30
36.2°, d 2.483, intensity 59
41.7°, d 2.167, intensity 19
41.8°, d 2.161, intensity 19
48.8°, d 1.867, intensity 20
62.2°, d 1.492, intensity 19

Structural model:
```
Tl2InBiI6
1.0
8.5958 0.0000 0.0000
4.2944 7.4525 0.0000
4.2956 2.4809 7.5269
Tl In Bi I
2 1 1 6
Direct
0.0000 0.0000 0.0000
0.4945 0.4933 0.5183
0.2986 0.2973 0.1064
0.8026 0.8020 0.5937
0.0492 0.6714 0.8249
0.1540 0.5825 0.3397
0.4553 0.0481 0.8254
0.5821 0.9237 0.3404
0.6720 0.4548 0.8253
0.9246 0.1535 0.3403
```

***

No. 3
NpSeI3: theoretical PXRD pattern (Cu Kα (weighted mean of Kα1 and Kα2)), based on a GGA-PBE-relaxed structure.
Neutral-atom scattering factors, no anomalous dispersion.

Top 12 peaks for 2θ = 10–80°, sorted by position:
11.0°, d 8.039, intensity 100
11.4°, d 7.755, intensity 85
12.8°, d 6.897, intensity 39
15.9°, d 5.581, intensity 31
I am not a college graduate, his mother passed away when he was 10,l we were not financially wealthy so this is actually possible for every child.
In tye past year we have distributed another 1,000 computers reqching another 5,0000 kids right here in our region .
We need an Assistant Executive, Marketing/Pr video editor/producer development director volunteer manager assistant technology director, research assistants.
1: In the past 15 years we have distributed over 12,500 low cost refurbished computers reaching over 60,000
2: This past summer we refurbished 40 desktops and 30 laptops for Arise Charter high school that serves kids that are homeless, living in shelters or in foster care now there are ready for a new school year..
3 computers in every classroom and a laptop cart loaded with computers.
4 This summer we distributed over 200 more computers to families in need.
5 We helped a charter school in Washington DC get 50 flat screen monitors 6:
6: Wawa just donated over 50 laptops 6:
7:We had over: 20-25 volunteers every Monday Tuesday Wednesday and Thursday volunteering and or working.
8 Local restaurants donated over $5,000 to provide lunches.
9 We had 27 people attend our first workshop on Poverty & The Brain
10 We are working with Aspira of PA to extend their early learning program that will reach more than 600 low income mostly Hispanic children living in one of the highest poverty areas in our state.
11: We are going to continue hosting workshops on how poverty affects the brain..
12: We are working on creating a relationship with a day care program to introduce
Massage/Rolfing for babies, children and families as well as our 21st century high quality early learning programs.
13: We have sponsored over 10 low income people through the curriculum of Landmark Education